I’m really really mad rn because of my friends parents. Not my friend, her PARENTS. They are literal ASSHOLES. Basically, my friend was at lunch, and she started drawing but she drew on school property, aka a stone in the courtyard. She got lunch detention and everything and didn’t complain about it cause it was a mistake and everyone makes mistakes…
Dude! She literally made a mistake, why do you feel the need to literally TAKE AWAY EVERYRJING FROM HER?!?
**Data records that have nothing to do with the piece:**
┌──
Record 1
2 unconnected molecules or ions with the total composition C24H28F2N in a non-equilibrium geometry, computed with the ωB97M-V functional and the def2-TZVPD basis.

Last column: Löwdin charge in e.
Geometry (Å):
1 C 2.87 0.03 3.03  -0.1640
2 C 2.16 -0.94 2.06  -0.2051
3 C 0.78 -0.39 1.85  -0.0764
4 C 0.52 0.61 2.71  -0.2563
5 N -0.67 1.35 2.77  -0.0916
6 C -0.96 2.32 3.85  -0.1571
7 C -2.35 2.91 3.56  -0.1516
8 C -3.01 1.96 2.53  -0.1551
9 C -1.95 0.91 2.16  -0.1567
10 C 1.71 0.86 3.61  -0.1314
11 H 3.44 -0.49 3.81  0.1097
12 H 3.57 0.68 2.48  0.1067
13 H 2.70 -1.06 1.11  0.0935
14 H 2.09 -1.94 2.51  0.1044
15 H 0.10 -0.69 1.07  0.0735
16 H -0.94 1.78 4.80  0.1178
17 H -0.18 3.09 3.87  0.1140
18 H -2.95 2.99 4.48  0.1098
19 H -2.26 3.93 3.15  0.1069
20 H -3.91 1.49 2.94  0.1068
21 H -3.34 2.52 1.64  0.1007
22 H -1.82 0.80 1.08  0.0844
23 H -2.19 -0.07 2.57  0.1201
24 H 1.46 0.54 4.63  0.1219
25 H 1.94 1.93 3.65  0.1123
26 C 5.16 0.80 -3.43  -0.0043
27 C 3.73 0.65 -3.06  -0.1623
28 C 3.07 -0.55 -3.34  -0.1851
29 F 3.74 -1.54 -3.97  0.0982
30 C 1.75 -0.72 -2.99  0.0916
31 C 1.04 0.29 -2.31  -0.1769
32 C -0.32 0.21 -1.91  0.1328
33 C -1.28 -0.83 -1.94  -0.1824
34 C -1.02 -2.18 -2.25  0.0919
35 C -2.03 -3.12 -2.25  -0.1847
36 F -1.75 -4.41 -2.56  0.0988
37 C -3.34 -2.76 -1.94  -0.1624
38 C -4.41 -3.79 -1.97  -0.0045
39 C -3.61 -1.43 -1.61  0.0078
40 C -2.61 -0.50 -1.61  0.0061
41 C 1.72 1.49 -2.06  0.0194
42 C 3.03 1.67 -2.42  0.0076
43 H 5.51 1.81 -3.25  0.0925
44 H 5.78 0.12 -2.85  0.1087
45 H 5.31 0.57 -4.49  0.1041
46 H 1.28 -1.63 -3.31  0.1129
47 H -0.70 1.14 -1.52  0.1270
48 H -0.03 -2.53 -2.42  0.1136
49 H -5.36 -3.39 -1.60  0.0923
50 H -4.56 -4.15 -2.98  0.1084
51 H -4.14 -4.64 -1.35  0.1044
52 H -4.62 -1.15 -1.36  0.1291
53 H -2.84 0.52 -1.36  0.1218
54 H 1.19 2.29 -1.57  0.1274
55 H 3.53 2.60 -2.21  0.1290

Properties
Orbital gap in eV: 3.69
Net charge: +1
LUMO in hartree: -0.21394

=====

Record 2
C16H18ClN3O4S in the gas phase, computed with the ωB97M-V functional and the def2-TZVPD basis.

Last column: Löwdin charge in e.
Geometry (Å):
1 C -4.56 -2.52 -0.02  -0.0517
2 H -5.40 -2.20 -0.64  0.1034
3 H -4.29 -3.54 -0.28  0.0995
4 H -4.85 -2.48 1.04  0.1001
5 O -3.41 -1.75 -0.27  -0.1058
6 C -3.49 -0.40 -0.13  -0.2671
7 C -4.57 0.29 0.40  0.0035
8 C -4.52 1.67 0.52  -0.0811
9 C -3.40 2.37 0.12  -0.6654
10 C -2.31 1.69 -0.42  -0.0741
11 C -2.37 0.32 -0.53  -0.2013
12 S -1.01 -0.55 -1.32  0.6760
13 O -1.51 -1.16 -2.51  -0.2500
14 O 0.09 0.37 -1.44  -0.3077
15 N -0.54 -1.79 -0.34  -0.0777
16 H -1.18 -2.55 -0.42  0.1103
17 C 0.13 -1.64 0.95  -0.2790
18 C -0.16 -0.30 1.63  -0.0277
19 H 0.41 -0.25 2.56  0.0976
20 H 0.15 0.52 0.99  0.0733
21 H -1.22 -0.20 1.86  0.0825
22 H -0.20 -2.45 1.60  0.1550
23 C 1.66 -1.78 0.81  -0.4729
24 O 2.31 -2.40 1.63  0.0659
25 N 2.16 -1.16 -0.26  0.0861
26 H 1.53 -0.63 -0.86  0.0764
27 C 3.58 -1.06 -0.53  -0.1127
28 C 4.08 0.36 -0.42  -0.1769
29 C 3.35 1.43 -0.93  -0.0169
30 C 3.87 2.71 -0.81  -0.0572
└──
You ground her, reasonable, right? But then you yell at her and say “this is on your ‘permanent record’! They should have reported you to the police you criminal!!”
HELLO?? She’s a MINOR first of all, it was a MISTAKE second of all, and third of all, WHY TF YOU TRYING TO YELL AT YOUR CHILD FOR SOMETHING AND CALL HER A “CRIMINAL”?
Discipline is one thing, I get that, every parent does it differently, I get that, but come on!! Take her phone and lock shit on it, that fine, take her headphones while she suffers because everything is too loud, …okay, twist her words and make it so everything she says makes you hate her more and ruins her life? Okay, tell me you have strict shitty parents without telling me you have strict shitty parents.
They literally just said “your life is now school work and chores.” Way to ruin your child’s relationships with you and literally EVERYONE ELSE. She’s already fucking depressed and hates you. She plans on getting tf out of there and never coming back, so keep being a shitty parent and loose your child.
They took away her clothes because she doodles on them and herself and said “stop drawing on yourself or we’ll get you a uniform. Okay, draw on that shit too! Waste your money while taking everything away from your child!
I talked to her and we were trying to help he out here and we were coming up with things she could do to get her freedom and stuff back and she goes “yeah I can’t do that, they’ll take away everything I have and make me sleep on the floor.”
I don’t know anyone who’s been neglected or have been neglected myself but can’t that be argued as neglect?? Maybe not but jeez!! Calm down, she just drew on something and took responsibility for it!!
- - -
[1]
Formula: H34O17
Source: OMol25
Level of theory: ωB97M-V with the def2-TZVPD basis set

ORCA input file:
```
! RIJCOSX wB97M-V def2-TZVPD def2/J DEFGRID3
* xyz 0 1
O 10.16 -4.95 28.27
H 10.94 -4.54 28.64
H 10.23 -5.88 28.25
O 12.71 -9.79 26.79
H 12.53 -9.59 25.84
H 12.65 -8.87 27.13
O 12.15 -6.78 24.31
H 13.05 -6.58 24.48
H 11.79 -6.06 24.78
O 8.54 -11.41 26.07
H 7.75 -11.62 26.57
H 8.69 -10.46 26.02
O 9.28 -9.06 24.99
H 10.19 -9.17 24.80
H 8.83 -9.35 24.16
O 7.22 -7.58 23.35
H 8.18 -7.38 23.18
H 6.86 -7.38 22.47
O 10.59 -9.97 28.73
H 10.44 -9.61 27.88
H 11.47 -10.28 28.61
O 6.70 -6.21 28.20
H 6.29 -5.73 28.88
H 7.51 -6.64 28.43
O 5.97 -8.73 26.45
H 5.76 -7.81 26.32
H 6.83 -8.58 26.74
O 8.24 -5.13 23.39
H 7.64 -5.83 23.49
H 9.12 -5.45 23.64
O 9.52 -6.78 26.26
H 10.39 -6.99 26.62
H 9.32 -7.65 25.91
O 6.14 -6.08 25.38
H 6.83 -5.83 25.94
H 6.54 -6.72 24.81
O 11.94 -7.30 27.69
H 12.72 -6.73 27.47
H 12.00 -7.39 28.59
O 7.96 -9.05 28.07
H 8.42 -8.45 28.58
H 8.45 -9.83 28.38
O 11.23 -4.50 25.59
H 11.95 -3.96 25.89
H 10.68 -4.65 26.37
O 9.84 -7.33 22.85
H 10.30 -7.26 22.02
H 10.49 -7.41 23.56
O 8.11 -4.19 26.08
H 8.69 -4.91 25.99
H 7.62 -4.11 25.26
*
```

Properties
Energy above the lowest of the compared OMol25 structures with the same formula, charge and spin in kcal/mol: 70.7
Frontier orbital gap in eV: 8.400
HOMO level in eV: -9.46

[2]
Formula: C4H27NO11
Source: OMol25
Level of theory: ωB97M-V with the def2-TZVPD basis set

ORCA input file:
```
! RIJCOSX wB97M-V def2-TZVPD def2/J DEFGRID3
* xyz 0 1
C 2.53 -1.21 2.16
C 1.45 -2.28 1.57
C 0.64 -1.61 0.50
O 0.83 -0.55 -0.09
N -0.41 -2.39 -0.09
C -1.28 -3.17 0.75
O -2.11 -2.35 1.66
H 2.71 -1.64 3.16
H 3.34 -1.10 1.45
H 1.97 -0.25 2.23
H 0.74 -2.57 2.34
H 1.99 -3.19 1.30
H -0.88 -1.81 -0.81
H -1.93 -3.85 0.23
H -0.58 -3.70 1.41
H -2.57 -1.69 1.08
O 0.99 1.87 1.15
H 0.70 1.79 2.06
H 0.70 0.99 0.82
O -2.71 0.03 0.61
H -3.01 0.33 1.48
H -1.76 0.23 0.57
O -1.24 3.41 -3.35
H -1.92 2.93 -2.84
H -0.65 2.68 -3.57
O 2.91 3.19 0.50
H 2.14 2.79 0.94
H 3.34 2.34 0.33
O -1.96 -1.49 -2.71
H -2.91 -1.60 -2.68
H -1.70 -0.62 -3.03
O 2.38 2.60 -2.11
H 2.77 2.81 -1.23
H 2.22 3.48 -2.47
O -1.20 -0.31 3.07
H -1.52 -1.20 2.78
H -0.98 -0.48 3.99
O 0.60 0.96 -3.21
H 0.86 0.03 -3.13
H 1.18 1.44 -2.58
O -1.87 1.51 -1.74
H -1.17 2.06 -1.36
H -2.62 1.62 -1.15
*
```

Properties
Energy above the lowest of the compared OMol25 structures with the same formula, charge and spin in kcal/mol: 70.9
Frontier orbital gap in eV: 10.264
SMILES: CCC(=O)NCO.O.O.O.O.O.O.O.O.O
HOMO level in eV: -10.21

[3]
Formula: C2H9N2S
Source: OMol25
Level of theory: ωB97M-V with the def2-TZVPD basis set

ORCA input file:
```
! RIJCOSX wB97M-V def2-TZVPD def2/J DEFGRID3
* xyz 1 1
C 0.18 1.09 0.67
C -0.88 0.06 0.62
N 0.08 2.14 -0.30
N 0.74 -1.92 -0.38
S -2.02 0.02 -0.57
H 1.04 0.46 0.52
H 0.47 1.66 1.56
H -0.57 -0.69 1.39
H 0.54 3.02 -0.07
H -0.29 1.88 -1.17
H 1.52 -2.22 0.21
H 0.16 -2.68 -0.66
H 1.19 -1.47 -1.16
H -2.16 -1.35 -0.67
*
```

Properties
- - -
To me, this sounds like unfair parenting, probably cause I have nice parents who don’t like grounding us and doing that kind of punishment… but isn’t that like, idk, TOO far??
Data records from another source follow:
┌──
DFT (the ωB97M-V functional and the def2-TZVPD basis) results for a cluster of 4 separate species, C17H38Br2N2O7 in total in a non-equilibrium geometry.

## Properties
E_LUMO (eV): 0.430
SMILES string: COCCNCCOC.COCCNCCOC.O=C1OCCO1.BrCCBr
HOMO energy (Eh): -0.3113
Net charge: 0
Energy relative to the best compared isomer or geometry (same formula, charge and spin) (eV): 0.000
Strongest force on any atom (eV/Å): 1.37

Geometry (Å):
C: -10.067 -6.964 -9.408
O: -9.511 -6.619 -8.159
C: -10.081 -5.458 -7.609
C: -9.339 -5.116 -6.332
N: -7.900 -4.932 -6.507
C: -7.551 -3.794 -7.367
C: -6.117 -3.385 -7.082
O: -5.676 -2.516 -8.118
C: -4.550 -1.758 -7.756
H: -9.839 -8.008 -9.612
H: -9.609 -6.342 -10.187
H: -11.149 -6.806 -9.451
H: -11.154 -5.580 -7.420
H: -9.959 -4.615 -8.310
H: -9.566 -5.939 -5.646
H: -9.664 -4.212 -5.810
H: -7.523 -5.796 -6.879
H: -8.242 -2.993 -7.108
H: -7.629 -4.123 -8.407
H: -5.478 -4.274 -7.062
H: -6.017 -2.837 -6.141
H: -3.675 -2.411 -7.642
H: -4.729 -1.200 -6.828
H: -4.364 -1.031 -8.545
C: -16.575 2.334 -2.148
O: -16.189 0.993 -1.949
C: -16.574 0.170 -3.031
C: -16.169 -1.259 -2.718
N: -16.706 -2.131 -3.769
C: -16.345 -3.558 -3.602
C: -17.463 -4.422 -3.063
O: -18.590 -4.286 -3.919
C: -19.654 -5.149 -3.575
H: -16.147 2.753 -3.061
H: -16.341 2.892 -1.242
H: -17.672 2.396 -2.206
H: -16.112 0.574 -3.939
H: -17.663 0.157 -3.189
H: -16.524 -1.446 -1.697
H: -15.075 -1.294 -2.740
H: -17.713 -2.101 -3.602
H: -15.513 -3.661 -2.899
H: -16.012 -3.901 -4.581
H: -17.783 -4.129 -2.054
H: -17.101 -5.456 -3.025
H: -20.200 -5.362 -4.495
H: -20.338 -4.657 -2.876
H: -19.338 -6.107 -3.155
O: -10.271 -0.655 -3.229
C: -11.011 0.260 -3.300
O: -12.352 0.173 -3.089
C: -12.919 1.464 -3.179
C: -11.721 2.422 -3.253
O: -10.677 1.507 -3.643
H: -13.497 1.534 -4.104
H: -13.517 1.692 -2.300
H: -11.465 2.815 -2.270
H: -11.794 3.147 -4.055
Br: -13.340 -4.825 -5.274
C: -12.864 -2.915 -5.205
C: -13.920 -2.138 -5.965
Br: -13.322 -0.288 -6.085
H: -11.905 -2.795 -5.700
H: -12.797 -2.587 -4.173
H: -14.883 -2.165 -5.456
H: -14.103 -2.541 -6.958
└──
The data records stop here:
Whoever read this, thanks and HOLY SHIT YOUR ATTENTION SPAN IS CRAZY, and what’s your thinking on this? Feel free to give your opinions and educate me and stuffs.